UISegmentedControl Not Redrawn - iphone

I'm using a UISegmentedControl to show headers for a table view. When the orientation changes, the headers are resized depending on the labels in the table view underneath. Despite being connected up in IB, I have to move the phone around a bit to fire a orientationChanged notification and update the widths. I've even tried setting the first segment width to 0 in IB, then again in viewDidLoad, but all headers are the same width when the view loads. I've tried using performSelector:afterDelay to make sure the view is actually on screen, and also calling setNeedsLayout and setNeedsDisplay, but nothing seems to work. I simply have to jiggle the phone around.
Is this a bug anyone has experience with or am I making a daft mistake?
I'm setting the width as below:
[segSortOrder setWidth:0.0 forSegmentAtIndex:0];

The only solution I came up with for this was to use performSelector:afterDelay and using self.view.bounds.size.width with a variable amount of padding (how much is trial and error for each ViewController. Not ideal but it does the job.


iOS - resize UITableView height programmatically

I'm having a problem trying to programmatically resize the height of a UITableView hosted within a UIViewController, using iOS5 and Storyboards. The VC displays a master/detail record style with the UITableView displaying the detail records. Depending on the type of master record shown, a set of buttons may be needed at the foot of the screen. If the buttons are not needed then I want the UITableView to extend it's height to take advantage of the space available. I'm using the following code :
CGRect tableFrame = [tableListView frame];
if (blnApprovalRec == YES)
tableFrame.size.height = 127;
tableFrame.size.height = 170;
[tableListView setFrame:tableFrame];
This code is called whenever the master record changes, including when the screen first loads in viewDidLoad. The problem is that when the VC loads, the UITableView doesn't paint using the size specified - it just paints with the default size from IB. Once the user changes the master record so the table is reloaded then everything works fine and the size changes as required. I've tried forcing a repaint using setNeedsDisplay, setNeedsLayout and reloadData but none of these worked.
The problem is that when the VC loads, the UITableView doesn't paint using the size specified
This happens, when table view is loaded, but it's UI is not getting refreshed. Please verify if you have forcefully called in viewDidLoad or viewWillAppear.
Hopefully your this code is in seperate method:
CGRect tableFrame = [tableListView frame];
if (blnApprovalRec == YES)
tableFrame.size.height = 127;
tableFrame.size.height = 170;
[tableListView setFrame:tableFrame];
When the view appear initially, you may have the default selected value from master record.
You can set that value/instance in calling function in viewWillAppear.
Can you show method name and code for, how you are calling above snippets of code forcefully?
You can resize UITableView programmatically but you need to create UITableView programmatically too. Don't use Storyboard.
I had the same issue, just needed to move the code from
- (void) viewDidLoad
- (void)viewDidAppear:(BOOL)animated
This is tricky, its hard to resize things like this dynamically.
i would try "setNeedsLayout" And "setNeedsDisplay" for your table, and your screen to force a redraw.
Other than that, I would storyboard it to the minimum size and use code to expand it.
Generally apple doesn't like us doing this, your buttons should be drawn over the top of the view inside another view, if thats possible.
Sorry I can't be more precise but I have solved all these issues by mucking around and with hacks, and giving up on resizing things and doing re-designs. Please let me know how you go though :)
Make sure you are setting the frame after the table has loaded.
Which method do you call that code in?

UITableView separators disappears?

in my uitableview, i subclassed uitableviewcell's, and i added a subview to the contentview with flexible width and height. the cells are of dynamic height.
when the tableview first loads, everything is fine. however, as i start to scroll around, separators start disappearing, and they happen at the same places every launch. scrolling around some more will recover the lost separators.
anyone else encounter this?
I don't know how specific this will be to your project, but I'll tell you what I figured out. Overriding my layoutSubviews method was the problem. I looked at the view hierarchy of my cell before and after I called [super layoutSubviews] and discovered that this method was making the contentView 1 pixel shorter and added a new view below it 1 pixel high with a background color of 0.88/0.88/0.88.
If you can't live with some of the side effects of the superclass implementation, it looks like this view must be added manually.
The problem was related to the dynamic heights. Using either ceilf or floorf solved the problem.

iPhone UIImage overlapping text

Records of crystals, as found in the file
********
1.
Starting from a crystal structure in the Materials Project, relaxed with GGA-PBE, the powder diffraction line list of LuSiAu was simulated for a wavelength of 1.5418 Å.
Neutral-atom scattering factors, no anomalous dispersion.

Atomic structure:
```
LuSiAu
1.0
4.3229 0.0000 0.0000
-2.1614 3.7437 0.0000
0.0000 0.0000 7.1739
Lu Si Au
2 2 2
direct
0.0000 0.0000 0.0000
0.0000 0.0000 0.5000
0.3333 0.6667 0.2115
0.3333 0.6667 0.7885
0.6667 0.3333 0.2813
0.6667 0.3333 0.7187
```

The 12 most intense peaks (5 to 70 degrees two-theta), low angle first:
| h k l | d/Å | 2theta | intensity |
| --- | --- | --- | --- |
| 1 0 0 | 3.744 | 23.8 | 33 |
| 1 0 1 | 3.319 | 26.9 | 4 |
| 1 0 2 | 2.590 | 34.6 | 100 |
| 1 1 0 | 2.161 | 41.8 | 50 |
| 1 0 3 | 2.015 | 45.0 | 7 |
| 2 0 0 | 1.872 | 48.6 | 5 |
| 0 0 4 | 1.793 | 50.9 | 6 |
| 2 0 2 | 1.659 | 55.4 | 27 |
| 1 0 4 | 1.617 | 56.9 | 5 |
| 2 0 3 | 1.474 | 63.1 | 3 |
| 2 1 0 | 1.415 | 66.0 | 4 |
| 1 1 4 | 1.380 | 67.9 | 16 |

---

2.
Starting from a crystal structure in the Materials Project, relaxed with GGA-PBE, the powder diffraction line list of Cu7S4 was simulated for a wavelength of 1.5418 Å.
Neutral-atom scattering factors, no anomalous dispersion.

Atomic structure:
```
Cu7S4
1.0
7.8293 0.0000 0.0000
0.0000 7.8731 0.0000
0.0000 0.0000 10.8893
Cu S
28 16
direct
0.0180 0.2500 0.0915
0.0209 0.2500 0.3477
0.0807 0.7500 0.3296
0.1730 0.0232 0.9260
0.1730 0.4768 0.9260
0.2351 0.0854 0.6596
0.2351 0.4146 0.6596
0.2649 0.5854 0.1596
0.2649 0.9146 0.1596
0.3270 0.5232 0.4260
0.3270 0.9768 0.4260
0.4193 0.2500 0.8296
0.4791 0.7500 0.8477
0.4820 0.7500 0.5915
0.5180 0.2500 0.4085
0.5209 0.2500 0.1523
0.5807 0.7500 0.1704
0.6730 0.0232 0.5740
0.6730 0.4768 0.5740
0.7351 0.0854 0.8404
0.7351 0.4146 0.8404
0.7649 0.5854 0.3404
0.7649 0.9146 0.3404
0.8270 0.5232 0.0740
0.8270 0.9768 0.0740
0.9193 0.2500 0.6704
0.9791 0.7500 0.6523
0.9820 0.7500 0.9085
0.0013 0.0021 0.2377
0.0013 0.4979 0.2377
0.2120 0.7500 0.5157
0.2447 0.2500 0.4841
0.2553 0.7500 0.9841
0.2880 0.2500 0.0157
0.4987 0.5021 0.7377
0.4987 0.9979 0.7377
0.5013 0.0021 0.2623
0.5013 0.4979 0.2623
0.7120 0.7500 0.9843
0.7447 0.2500 0.0159
0.7553 0.7500 0.5159
0.7880 0.2500 0.4843
0.9987 0.5021 0.7623
0.9987 0.9979 0.7623
```

The 12 most intense peaks (5 to 70 degrees two-theta), low angle first:
| h k l | d/Å | 2theta | intensity |
| --- | --- | --- | --- |
| 2 1 1 | 3.340 | 26.7 | 100 |
| 1 0 3 | 3.294 | 27.1 | 49 |
| 2 0 2 | 3.178 | 28.1 | 40 |
| 2 2 0 | 2.776 | 32.2 | 51 |
| 2 2 1 | 2.690 | 33.3 | 49 |
| 1 0 4 | 2.571 | 34.9 | 41 |
| 0 3 1 | 2.551 | 35.2 | 40 |
| 1 2 3 | 2.524 | 35.6 | 45 |
| 1 2 4 | 2.153 | 42.0 | 62 |
| 3 2 1 | 2.134 | 42.4 | 38 |
| 0 4 0 | 1.968 | 46.1 | 39 |
| 2 2 4 | 1.944 | 46.7 | 89 |

---

3.
Starting from a crystal structure in the Materials Project, relaxed with GGA-PBE, the powder diffraction line list of CePt was simulated for a wavelength of 1.5418 Å.
Neutral-atom scattering factors, no anomalous dispersion.

Atomic structure:
********
Here the text continues

I have a view with a UIScrollView, UIImageView for a background, and a UITextView. I have created several other views just like this and they all come out okay - with a background image and scrollable text but for some reason, now I can't make that work. Either my image overlaps all of the text so that I can't read it or the UITextView default background (white) shows up so that the user can't see the background image. What could be causing this problem?
Do you use Interface Builder or build the views hierarchy in code?
In both cases you should make sure that the order of your views is correct.
In IB the view that you want to appear on top of all the rest has to be under the rest of the views.
In code, make sure that the text view is the last to be added to the hierarchy.
You could also use the next code in order to check if this is the problem:
[self.view bringSubviewToFront:textView];
Okay, it must have had something to do with choosing the delegate. I can't say that I completely understand how I fixed it but it had to do with declaring the delegate in IB.

UIPageControl render quirk with UIScrollView

I'm building an iPhone application and like most I am trying to implement a UIScrollView with a UIPageControl, however I am coming across a very quirky behavior, which I assume may be a bug. Hopefully one of you has seen this before because it is driving me nuts.
Basically, the page control works fine, everything is hooked up and works normally on all accounts EXCEPT, with certain placements of the UIPageControl within the UIView, the UIPageControl will cease to render.
I'll just take screenshots of the XIB window to help illustrate... here's a placement that works perfectly fine:
The UIPageControl is placed physically above the UIScrollView. Works great, everything is visible and working.
The next two DO NOT work:
The first one is simply placed below the scroll view. Doesn't render at all.
The second one is placed above the scroll view without technically being inside of it. Also doesn't render.
What the hell is up with this? I've tried using
[[self view] bringSubviewToFront:pageControl];
...to no avail.
Any ideas?
OK I found the answer to this, it's a little six degrees of Kevin Bacon.
This isn't actually a software bug, but a XIB quirk, for some reason the lower placement of the page control in combination with the default settings for autosize and anchor seem to jettison the control into outer space.
If you turn off all auto-scaling and auto-sizing and auto-anchoring and all that other crap, the controls appear exactly as you expected. The fact that it appears reliably when placed above the ScrollView is an oddity.
Hope this helps future iPhone initiates.
Did you check to make sure that numberOfPages is not 0?
If you set a breakpoint can you see that pageControl is not nil?
I was still encountering this exact same problem, even after trying everyone's posted answers. My issue ended up being a little more "DOH":
I was using UIPageControl at the bottom of a modal FormSheet, however, I forgot to set the size of the view as Form Sheet in the xib. This caused my page control to be off the screen and never visible.
Moral: set view size (Full, Form, Page, etc) in your xib on the base view.
This will sound like a real no brainer, but I got caught out by it.
By default, UIPageControl expects to be on a dark background. IE: The dots are light gray, and white for the current page.
I used UIPageControl on it's own with no scrollview to change the time range of a graph I was rendering with drawRect:
Long story short, the graph background was white, so the page controller worked, I just couldn't see it. The solution was putting the graph itself in a subview, and making the parent that contained the page control have a dark background.

Broken cell with an odd strikethrough?

I'm having a weird issue with a particular UITableView in my iPhone devel experience here. If you look at the following screenshot:
alt text http://dl-client.getdropbox.com/u/57676/brokencell.png
you'll notice a strike through going through the middle of the 'Jane Aba' cell.
Any idea what might be causing this odd graphic display? It's true for both the simulator and for the actual device running 2.2 SDK.
As requested, here's my -tableView:cellForRowIndexPath: method:
* EDIT *
I've located the problem. I'm not entirely sure why this is the problem, but it is. In my RootViewController, I have the following line of code in my -initWithCoder: method:
self.navigationController.navigationBar.barStyle = UIBarStyleBlackTranslucent;
When I comment that out, the cell (which is not in the RootViewController, but a secondary controller) it's resolved. Any idea why this might be the case?
I've had a similar problem. For me, the single line was caused by a superfluous view that was created but never sized or placed correctly and so was 1 pixel high, floating over everything else. You can also cause this by confusing a UINavigationController about its set of subviews (by adding views directly to its layout container).
Look through your UI (xib files and programmatically created views) for a view that shouldn't be there or is otherwise not being used. It might be helpful to write some code to dump a UI Hierarchy, so you can see what views are where.
Are you doing anything special in your -tableView:heightForRowAtIndexPath: method?
It looks to me like the height of the row is being set incorrectly, so the contents of the cell are expanding outside of its bounds.
The problem disappears when you set the cell height for the table view to 1 pixel in IB. It seems that before you populate the table, an empty table is drawn with the outlines of the cell height set in IB.
Don't set the cell height to 0. IB doesn't like that. :-)